How old is Lissandra?

How old is Lissandra?

How old is Lissandra?

between around 9000 and 10000 years old
Lissandra is among the very last living original Iceborn. Based on the timeline in Realms of Runeterra, Lissandra is between around 9000 and 10000 years old.

How was Lissandra blinded?

Lissandra was blinded by the claws of a primal demi-god, when she and her sisters sought to conquer all the lands of the ancient Freljord. In spite of the many wondrous and terrifying things she has achieved in the millennia since, her magic has never been able to restore her sight.

Should I play Lissandra?

Lissandra is really good in team fights. She can easily CC high priority targets and single-handedly win a team fight due to her AoE abilities and Passive. R at level 11 will provide her with a lot of pick potential. She can use that ability frequently, which means that team fights and picks will be pretty frequent.

What did Lissandra do?

Lissandra’s desire for power brought the beginning of the end to Runeterra. She made a pact with the Watchers to prepare the world for the Void. And in an attempt to stop this take over, she sacrificed her sisters, Avarosa and Serylda, and her people.

Is Lissandra alive?

During the final day of the rebellion, the Watchers broke out and threatened to consume the world, Lissandra betrayed the Watchers and sealed them away under the Howling Abyss. At that battle she sacrificed many, including both Avarosa and Serylda.

Is Lissandra a demigod?

Three sisters emerged who seeked the power of the ancient gods for this goal. Those were Lissandra, Avarosa and Serylda. The demigods are no longer the unquestioned masters of Freljord.

Who goes well with Lissandra?

Lissandra wins more against

Name Winrate
Irelia Mid +7.8%
Fizz Mid +4.8%
Katarina Mid +4.2%
Yasuo Mid +3.7%

How did Lissandra get her powers?

War of the Three Sisters On behalf of her and her sisters, she would struck a deal with them to prepare Runeterra for the coming of the Void. In exchange, Lissandra and her allies would be granted near-immortality and the ability to withstand the worst of the numbing frost.

+++
Here is crystalline Sc at its relaxed geometry from the Materials Project database. Energies are from PBE-GGA.

abc: 10.8830 5.0005 6.4014
angles: 90.00 125.97 90.00
Last column: nearest neighbours and their distance in Å.
Space group C2/c (No. 15)
Inequivalent atoms, fractional coordinates:
Sc: 0.0000 0.0005 0.2500 [4 per cell]  14 Sc 3.20-3.39
Sc: 0.1668 0.4807 0.1643 [8 per cell]  7 Sc 2.90-3.24

Values from the calculation:
For the calculated total energy, the calculation gives -75.19 eV for the cell shown. The distance to the lowest polymorph of the same formula comes out at 66 meV/atom. The calculated formation energy comes out at 0.07 eV per atom.


[1]
# PBE+U SrCaVP2O8, optimized geometry
# DFT formation energy: -70.50 kcal/mol of atoms
# Electronic total energy: -7.364 eV/atom
data_SrCaVP2O8
_space_group_name_H-M_alt 'P -1'
_space_group_IT_number 2
_cell_length_a 5.7450
_cell_length_b 6.9815
_cell_length_c 9.6376
_cell_angle_alpha 109.92
_cell_angle_beta 101.07
_cell_angle_gamma 98.27
loop_
_space_group_symop_operation_xyz
'x,y,z'
'-x,-y,-z'
loop_
_atom_site_label
_atom_site_fract_x
_atom_site_fract_y
_atom_site_fract_z
Sr1 0.2412 0.1930 0.4453
Ca1 0.4996 0.4185 0.1613
V1 0.1529 0.8524 0.0636
P1 0.1099 0.5847 0.2768
P2 0.3382 0.0300 0.7977
O1 0.0837 0.4189 0.1135
O2 0.1231 0.4501 0.6691
O3 0.1368 0.9689 0.8744
O4 0.1645 0.8053 0.2713
O5 0.2273 0.0069 0.6348
O6 0.3367 0.5549 0.3796
O7 0.4687 0.1094 0.2022
O8 0.4919 0.2580 0.9060

=====

[2]
# PBE+U CaTiP3WO12, optimized geometry
# DFT formation energy: -66.26 kcal/mol of atoms
# Electronic total energy: -7.639 eV/atom
data_CaTiP3WO12
_space_group_name_H-M_alt 'R 3 c'
_space_group_IT_number 161
_space_group_name_Hall 'R 3 -2"c'
_cell_length_a 8.8011
_cell_length_b 8.8011
_cell_length_c 22.2396
_cell_angle_alpha 90.00
_cell_angle_beta 90.00
_cell_angle_gamma 120.00
loop_
_atom_site_label
_atom_site_fract_x
_atom_site_fract_y
_atom_site_fract_z
Ca1 0.0000 0.0000 0.0000
Ti1 0.0000 0.0000 0.3510
P1 0.0454 0.3697 0.4161
W1 0.0000 0.0000 0.1441
O1 0.0017 0.2031 0.6920
O2 0.0312 0.1860 0.4177
O3 0.1532 0.4746 0.7492
O4 0.1544 0.4734 0.4733

=====

[3]
# PBE+U CaV3P4O14, optimized geometry
# DFT formation energy: -63.49 kcal/mol of atoms
# Electronic total energy: -7.547 eV/atom
data_CaV3P4O14
_space_group_name_H-M_alt 'P 1 21/c 1'
_space_group_IT_number 14
_cell_length_a 7.6085
_cell_length_b 7.8630
_cell_length_c 9.6184
_cell_angle_alpha 90.00
_cell_angle_beta 111.80
_cell_angle_gamma 90.00
loop_
_space_group_symop_operation_xyz
'x,y,z'
'-x,-y,-z'
'-x,y+1/2,-z+1/2'
'x,-y+1/2,z+1/2'
loop_
_atom_site_label
_atom_site_fract_x
_atom_site_fract_y
_atom_site_fract_z
Ca1 0.0000 0.0000 0.0000
V1 0.3117 0.1290 0.4745
V2 0.5000 0.0000 0.0000
P1 0.0998 0.0641 0.7058
P2 0.3758 0.7032 0.1889
O1 0.0976 0.5222 0.7992
O2 0.1192 0.1908 0.5921
O3 0.1773 0.6183 0.1765
O4 0.2247 0.1158 0.8702
O5 0.3219 0.6276 0.6061
O6 0.4664 0.5806 0.1110
O7 0.4889 0.7138 0.3577

=====

[4]
# PBE+U CaV4P4O20, optimized geometry
+++

Is Lissandra evil lol?

Lissandra in “Enter the Freljord”. Lissandra, also known as The Ice Witch, is a villainous playable character in the multiplayer online battle arena game League of Legends.

Is Lissandra a hero?

Lissandra weaves her way through the crevasses between crystals, toward one of the most exotic heroes in her collection. Silence breeds mysteries, and she loves coaxing secrets from unspeaking lips… She feels a shift in temperature, an aura of warmth.